Data:
********
Entry 1:
The following is a PBE calculation of a geometry-optimized Si3BiH27C10Cl2 structure, from Materials Project.

Calculated values
**DFT formation energy**: -0.26 eV per atom
**Total energy after the MP2020 corrections**: -875.97 eV/cell

Cell and atoms, written as CIF:
```
data_Si3BiH27C10Cl2
_chemical_formula_sum 'Si12 Bi4 H108 C40 Cl8'
_cell_length_a 9.2756
_cell_length_b 16.1978
_cell_length_c 17.0369
_cell_angle_alpha 117.18
_cell_angle_beta 101.61
_cell_angle_gamma 91.21
_symmetry_space_group_name_H-M 'P -1'
_symmetry_Int_Tables_number 2
loop_
_symmetry_equiv_pos_as_xyz
'x,y,z'
'-x,-y,-z'
loop_
_atom_site_label
_atom_site_fract_x
_atom_site_fract_y
_atom_site_fract_z
_atom_site_occupancy
Si1 0.0542 0.2722 0.2129 1
Si2 0.1998 0.8916 0.8303 1
Si3 0.2336 0.6742 0.7053 1
Si4 0.2933 0.6349 0.1521 1
Si5 0.3544 0.8587 0.2830 1
Si6 0.3745 0.2642 0.7406 1
Bi1 0.0201 0.2468 0.3955 1
Bi2 0.4015 0.7400 0.3956 1
H1 0.0171 0.0165 0.1431 1
H2 0.0303 0.5883 0.0709 1
H3 0.0434 0.6544 0.1896 1
H4 0.0531 0.5383 0.5781 1
H5 0.0558 0.9886 0.7699 1
H6 0.0691 0.7117 0.1242 1
H7 0.0697 0.3439 0.1138 1
H8 0.0733 0.5322 0.6813 1
H9 0.0777 0.6151 0.8320 1
H10 0.0843 0.1202 0.0830 1
H11 0.0931 0.8296 0.2963 1
H12 0.1018 0.7295 0.9258 1
H13 0.1323 0.2051 0.6308 1
H14 0.1527 0.0551 0.8852 1
H15 0.1579 0.8950 0.9738 1
H16 0.1609 0.9508 0.3492 1
H17 0.1617 0.4275 0.3536 1
H18 0.1998 0.3792 0.7870 1
H19 0.2032 0.2124 0.8079 1
H20 0.2094 0.8212 0.1266 1
H21 0.2152 0.8855 0.4061 1
H22 0.2157 0.5023 0.6211 1
H23 0.2165 0.1444 0.1855 1
H24 0.2304 0.4651 0.0879 1
H25 0.2396 0.2068 0.1247 1
H26 0.2561 0.1235 0.5882 1
H27 0.2568 0.6708 0.5568 1
H28 0.2595 0.2278 0.5773 1
H29 0.2649 0.3356 0.3540 1
H30 0.2673 0.5176 0.2084 1
H31 0.2678 0.9429 0.1964 1
H32 0.2748 0.5645 0.9862 1
H33 0.2848 0.3829 0.2818 1
H34 0.3123 0.9754 0.9963 1
H35 0.3291 0.8541 0.9517 1
H36 0.3296 0.6685 0.8508 1
H37 0.3354 0.6864 0.0394 1
H38 0.3356 0.4191 0.7475 1
H39 0.3383 0.1348 0.7801 1
H40 0.3609 0.9164 0.7384 1
H41 0.3790 0.4306 0.8594 1
H42 0.3850 0.2451 0.8799 1
H43 0.3939 0.0439 0.6562 1
H44 0.3965 0.8675 0.1464 1
H45 0.4006 0.7510 0.6494 1
H46 0.4047 0.6284 0.6030 1
H47 0.4168 0.4988 0.1535 1
H48 0.4278 0.9901 0.8573 1
H49 0.4498 0.7482 0.8405 1
H50 0.4507 0.6255 0.7762 1
H51 0.4594 0.8714 0.8089 1
H52 0.4617 0.0245 0.3774 1
H53 0.4627 0.6080 0.0466 1
H54 0.4667 0.0399 0.5660 1
C1 0.0229 0.6772 0.8647 1
C2 0.0851 0.9878 0.8352 1
C3 0.0900 0.6502 0.1337 1
C4 0.0998 0.7675 0.7454 1
C5 0.1326 0.5508 0.6408 1
C6 0.1571 0.1755 0.1452 1
C7 0.1911 0.8816 0.3383 1
C8 0.2028 0.3628 0.3108 1
C9 0.2473 0.1986 0.6228 1
C10 0.2539 0.9046 0.9488 1
C11 0.3021 0.8729 0.1776 1
C12 0.3046 0.5187 0.1516 1
C13 0.3191 0.3855 0.7887 1
C14 0.3220 0.2088 0.8089 1
C15 0.3314 0.6836 0.6214 1
C16 0.3479 0.6228 0.0466 1
C17 0.3793 0.6806 0.8031 1
C18 0.3785 0.9186 0.8051 1
C19 0.4170 0.7377 0.2591 1
C20 0.4961 0.0417 0.6326 1
Cl1 0.1194 0.8802 0.5931 1
Cl2 0.1478 0.6538 0.3581 1
Cl3 0.2384 0.1576 0.3612 1
Cl4 0.4712 0.3957 0.6051 1
```


Entry 2:
The following is a PBE calculation of a geometry-optimized Ti20Sb9Se3 structure, from Materials Project.

Calculated values
**DFT formation energy**: -0.64 eV per atom
**Total energy after the MP2020 corrections**: -451.98 eV/cell

Cell and atoms, written as CIF:
```
data_Ti20Sb9Se3
_chemical_formula_sum 'Ti40 Sb18 Se6'
_cell_length_a 16.6744
_cell_length_b 6.9863
_cell_length_c 10.0653
_cell_angle_alpha 90.00
_cell_angle_beta 90.00
_cell_angle_gamma 90.00
_symmetry_space_group_name_H-M 'P m n 21'
_symmetry_Int_Tables_number 31
loop_
_symmetry_equiv_pos_as_xyz
'x,y,z'
'-x+1/2,-y,z+1/2'
'-x,y,z'
'x+1/2,-y,z+1/2'
loop_
_atom_site_label
_atom_site_fract_x
_atom_site_fract_y
_atom_site_fract_z
_atom_site_occupancy
Ti1 0.0000 0.0503 0.0301 1
Ti2 0.0000 0.2222 0.7685 1
Ti3 0.0000 0.4249 0.4937 1
Ti4 0.0000 0.5907 0.9832 1
Ti5 0.0000 0.7633 0.2627 1
Ti6 0.0000 0.9305 0.5480 1
Ti7 0.0970 0.5614 0.7215 1
Ti8 0.1047 0.4475 0.2232 1
Ti9 0.1515 0.9414 0.8231 1
********

Work order:
What is needed: count the lines further up that contain the word "after" and give the number alone.

Solution:
2